**What to do:**
Filter the material further below: keep the lines with the word "HgSe2N", please.
**Given:**
- - -
Record 1
First-principles (GGA-PBE) data for HgSe2N after structural relaxation, as listed in Alexandria via LeMat-Bulk.

Values from the calculation:
uncorrected formation energy = 0.7562 eV per atom

The structure in CIF format:
```
data_HgSe2N
_cell_length_a 5.509
_cell_length_b 5.509
_cell_length_c 11.796
_cell_angle_alpha 90.00
_cell_angle_beta 90.00
_cell_angle_gamma 90.00
_space_group_name_H-M_alt 'I -4 2 d'
_space_group_IT_number 122
_space_group_name_Hall 'I -4 2bw'
loop_
_atom_site_label
_atom_site_fract_x
_atom_site_fract_y
_atom_site_fract_z
Hg1 0.000 0.000 0.000
Se1 0.142 0.250 0.625
N1 0.000 0.000 0.500
```

Record 2
First-principles (GGA-PBE) data for AlB3P after structural relaxation, as listed in Alexandria via LeMat-Bulk.

Values from the calculation:
energy of formation from the pure elements = 2028 meV/atom

The structure in CIF format:
```
data_AlB3P
_cell_length_a 4.146
_cell_length_b 4.146
_cell_length_c 4.146
_cell_angle_alpha 90.00
_cell_angle_beta 90.00
_cell_angle_gamma 90.00
_space_group_name_H-M_alt 'P m -3 m'
_space_group_IT_number 221
_space_group_name_Hall '-P 4 2 3'
loop_
_atom_site_label
_atom_site_fract_x
_atom_site_fract_y
_atom_site_fract_z
Al1 0.000 0.000 0.000
B1 0.000 0.000 0.500
P1 0.500 0.500 0.500
```

Record 3
First-principles (GGA-PBE) data for Ba2C after structural relaxation, as listed in Alexandria via LeMat-Bulk.

Values from the calculation:
energy of formation from the pure elements = 823 meV/atom

The structure in CIF format:
```
data_Ba2C
_cell_length_a 4.349
_cell_length_b 4.349
_cell_length_c 5.775
_cell_angle_alpha 90.00
_cell_angle_beta 90.00
_cell_angle_gamma 90.00
_space_group_name_H-M_alt 'P 4/m m m'
_space_group_IT_number 123
_space_group_name_Hall '-P 4 2'
loop_
_atom_site_label
_atom_site_fract_x
_atom_site_fract_y
_atom_site_fract_z
Ba1 0.000 0.000 0.000
Ba2 0.500 0.500 0.500
C1 0.000 0.000 0.500
```

Record 4
First-principles (GGA-PBE) data for NaAc3Pd after structural relaxation, as listed in Alexandria via LeMat-Bulk.

Values from the calculation:
energy of formation from the pure elements = -148 meV/atom

The structure in CIF format:
```
data_NaAc3Pd
_cell_length_a 6.025
_cell_length_b 6.025
_cell_length_c 6.025
_cell_angle_alpha 90.00
_cell_angle_beta 90.00
_cell_angle_gamma 90.00
_space_group_name_H-M_alt 'P m -3 m'
_space_group_IT_number 221
_space_group_name_Hall '-P 4 2 3'
loop_
_atom_site_label
_atom_site_fract_x
_atom_site_fract_y
_atom_site_fract_z
Na1 0.000 0.000 0.000
Ac1 0.000 0.500 0.500
Pd1 0.500 0.500 0.500
```

Record 5
First-principles (GGA-PBE) data for Pm4NdPd after structural relaxation, as listed in Alexandria via LeMat-Bulk.

Values from the calculation:
energy of formation from the pure elements = -146 meV/atom

The structure in CIF format:
```
data_Pm4NdPd
_cell_length_a 5.397
_cell_length_b 21.707
_cell_length_c 6.508
_cell_angle_alpha 90.00
_cell_angle_beta 90.00
_cell_angle_gamma 90.00
_space_group_name_H-M_alt 'C m c 21'
_space_group_IT_number 36
_space_group_name_Hall 'C 2c -2'
loop_
_atom_site_label
_atom_site_fract_x
_atom_site_fract_y
_atom_site_fract_z
Pm1 0.000 0.027 0.000
Pm2 0.000 0.165 0.225
Pm3 0.000 0.240 0.735
Pm4 0.000 0.431 0.871
Nd1 0.000 0.367 0.360
Pd1 0.000 0.106 0.631
```

Record 6
First-principles (GGA-PBE) data for Cs2PaTlI6 after structural relaxation, as listed in Alexandria via LeMat-Bulk.

Values from the calculation:
uncorrected formation energy = -1.0667 eV per atom

The structure in CIF format:
```
data_Cs2PaTlI6
_cell_length_a 8.8600
_cell_length_b 8.8600
_cell_length_c 49.2160
_cell_angle_alpha 90.00
_cell_angle_beta 90.00
_cell_angle_gamma 120.00
_space_group_name_H-M_alt 'R -3 m'
_space_group_IT_number 166
_space_group_name_Hall '-R 3 2"'
loop_
_atom_site_label
_atom_site_fract_x
_atom_site_fract_y
_atom_site_fract_z
Cs1 0.0000 0.0000 0.1366
Cs2 0.0000 0.0000 0.3066
Pa1 0.0000 0.0000 0.0000
Pa2 0.0000 0.0000 0.5000
Tl1 0.0000 0.0000 0.4216
I1 0.0023 0.5011 0.7032
I2 0.0130 0.5065 0.8680
```

Record 7
- - -
**Response:**
First-principles (GGA-PBE) data for HgSe2N after structural relaxation, as listed in Alexandria via LeMat-Bulk.